## Activity
Your job: echo the lines underneath up to the one that holds "0.10132 -0.255", that line included.
## Input
=====
Entry 1:
Entry from OMol25: a single C5H8N2O3 molecule at a distorted geometry (ωB97M-V with the def2-TZVPD basis set).

The geometry in XYZ format:
```
18
Properties=species:S:1:pos:R:3:mulliken_charge:R:1
C -0.00972 -1.15721 0.92817 -0.669
C 1.72079 -0.05427 -0.23179 -0.057
C -0.74481 -0.23023 0.05542 1.418
C -2.14879 -0.87999 -0.02468 -1.418
C -0.98767 1.35392 0.23599 -1.396
N 1.11103 -0.28759 -1.32723 -0.022
N 2.95448 0.04546 0.23280 0.856
O 3.77383 -0.86970 0.18853 -0.556
O 3.10855 1.04549 0.91396 -0.522
O -0.21256 -0.30054 -1.29879 -0.343
H 0.16790 -0.84351 2.02294 0.217
H -2.80510 -0.23749 0.73924 0.289
H -2.00624 -1.91487 0.13155 0.499
H -2.47391 -0.61413 -1.04960 0.311
H -0.07176 1.82181 0.69703 0.314
H -1.81947 1.53747 0.87427 0.441
H -0.99441 1.82918 -0.73884 0.349
H 1.43784 -0.24379 -2.34897 0.290
```

HOMO (spin up / spin down)	-8.5 / -8.5	eV
ΔE to the lowest compared entry with this formula, charge and spin	12.0458	eV
DFT total energy	-530.1346	Ha
strongest force on any atom	4.96	eV/Å

Entry 2:
Entry from OMol25: 2 unconnected molecules or ions with the total composition C5H8N2O3 at a distorted geometry (ωB97M-V with the def2-TZVPD basis set).

The geometry in XYZ format:
```
18
Properties=species:S:1:pos:R:3:mulliken_charge:R:1
N -1.81719 0.97225 -1.63219 -0.577
C -0.86953 0.44273 -0.72204 0.774
C 0.45810 -0.04667 -1.23529 -0.644
C -0.53267 -1.03103 -0.66453 -0.288
C -0.30747 -1.36305 0.77493 0.337
O -0.24544 -2.45832 1.28589 -0.590
N -0.39783 -0.15019 1.49160 -0.027
C -0.80933 0.91677 0.71474 0.076
O -1.10582 2.01184 1.13569 -0.616
H -2.76848 0.88146 -1.28858 0.271
H -1.63832 1.95116 -1.83441 0.274
H 0.55431 -0.05218 -2.32093 0.329
H 1.36720 0.17005 -0.67085 0.057
H -1.01657 -1.76269 -1.30883 0.428
H -0.35670 -0.11493 2.50426 0.212
O 3.07177 -0.44771 1.45959 -0.643
H 2.76417 0.46961 1.61734 0.320
H 3.64979 -0.38910 0.69360 0.307
```

HOMO	-9.9	eV
ΔE to the lowest compared entry with this formula, charge and spin	0.1223	eV
DFT total energy	-530.5728	Ha
strongest force on any atom	1.35	eV/Å
SMILES	N[C@]12C[C@H]1C(=O)NC2=O.O

Entry 3:
Entry from OMol25: a single C5H8N2O8 molecule at a distorted geometry (ωB97M-V with the def2-TZVPD basis set).

The geometry in XYZ format:
```
23
Properties=species:S:1:pos:R:3:mulliken_charge:R:1
C 0.94791 2.38054 0.99123 -1.089
C 0.90840 0.99012 1.65722 0.851
O 1.15226 0.55773 2.74233 -0.460
O 0.41432 0.16562 0.59013 -0.291
C 0.23904 -1.14635 0.80563 -0.281
C -0.48826 -1.87276 -0.35210 0.313
O -1.20486 -2.93626 0.18937 -0.635
C -1.43638 -0.90043 -1.05495 -1.014
O -0.73370 -0.17530 -2.03996 -0.593
N -0.64241 -1.27697 2.02073 1.264
O -1.45729 -0.39032 2.15770 -0.619
O -0.54972 -2.28181 2.65372 -0.606
N 1.57782 -1.76746 1.08669 1.134
O 1.60745 -2.93971 1.28286 -0.601
O 2.51055 -1.01037 1.00926 -0.624
H 0.37028 2.45482 0.03840 0.209
H 0.63616 3.15690 1.82378 0.353
H 2.01190 2.55881 0.91696 0.336
H 0.11437 -2.33010 -1.03008 0.660
H -0.54174 -3.53511 0.64828 0.421
H -2.19163 -1.46634 -1.46232 0.453
H -1.71290 -0.30972 -0.21477 0.479
H -0.57511 0.84480 -1.91249 0.337
```

HOMO	-11.0	eV
ΔE to the lowest compared entry with this formula, charge and spin	0.0000	eV
DFT total energy	-906.5101	Ha
strongest force on any atom	3.48	eV/Å
SMILES	CC(=O)OC([C@@H](O)CO)([N+](=O)[O-])[N+](=O)[O-]

Entry 4:
Entry from OMol25: a single C5H8N2S molecule at a distorted geometry (ωB97M-V with the def2-TZVPD basis set).

The geometry in XYZ format:
```
16
Properties=species:S:1:pos:R:3:mulliken_charge:R:1
S 3.12565 -0.06541 -0.09559 -0.337
C 1.55501 -0.27385 0.10132 -0.255
N 0.86528 -1.51691 0.15491 0.022
N -0.45432 -1.68084 -0.22889 -0.559
C -1.49904 -0.51933 0.11584 -0.546
C -0.82521 0.62532 -0.27181 -0.046
C -0.03077 1.99019 -0.08581 -0.525
C 0.47676 0.61308 0.45180 0.318
H 1.25914 -2.43572 0.59754 0.246
H -0.41504 -1.66462 -1.31120 0.238
H -2.35725 -0.91349 -0.42354 0.304
H -1.76869 -0.41942 1.29558 0.204
H -0.50715 0.52773 -1.31540 0.216
H -0.12613 3.01628 0.64002 0.245
H 0.49647 2.29848 -1.15142 0.219
=====
## Result
Entry 1:
Entry from OMol25: a single C5H8N2O3 molecule at a distorted geometry (ωB97M-V with the def2-TZVPD basis set).

The geometry in XYZ format:
```
18
Properties=species:S:1:pos:R:3:mulliken_charge:R:1
C -0.00972 -1.15721 0.92817 -0.669
C 1.72079 -0.05427 -0.23179 -0.057
C -0.74481 -0.23023 0.05542 1.418
C -2.14879 -0.87999 -0.02468 -1.418
C -0.98767 1.35392 0.23599 -1.396
N 1.11103 -0.28759 -1.32723 -0.022
N 2.95448 0.04546 0.23280 0.856
O 3.77383 -0.86970 0.18853 -0.556
O 3.10855 1.04549 0.91396 -0.522
O -0.21256 -0.30054 -1.29879 -0.343
H 0.16790 -0.84351 2.02294 0.217
H -2.80510 -0.23749 0.73924 0.289
H -2.00624 -1.91487 0.13155 0.499
H -2.47391 -0.61413 -1.04960 0.311
H -0.07176 1.82181 0.69703 0.314
H -1.81947 1.53747 0.87427 0.441
H -0.99441 1.82918 -0.73884 0.349
H 1.43784 -0.24379 -2.34897 0.290
```

HOMO (spin up / spin down)	-8.5 / -8.5	eV
ΔE to the lowest compared entry with this formula, charge and spin	12.0458	eV
DFT total energy	-530.1346	Ha
strongest force on any atom	4.96	eV/Å

Entry 2:
Entry from OMol25: 2 unconnected molecules or ions with the total composition C5H8N2O3 at a distorted geometry (ωB97M-V with the def2-TZVPD basis set).

The geometry in XYZ format:
```
18
Properties=species:S:1:pos:R:3:mulliken_charge:R:1
N -1.81719 0.97225 -1.63219 -0.577
C -0.86953 0.44273 -0.72204 0.774
C 0.45810 -0.04667 -1.23529 -0.644
C -0.53267 -1.03103 -0.66453 -0.288
C -0.30747 -1.36305 0.77493 0.337
O -0.24544 -2.45832 1.28589 -0.590
N -0.39783 -0.15019 1.49160 -0.027
C -0.80933 0.91677 0.71474 0.076
O -1.10582 2.01184 1.13569 -0.616
H -2.76848 0.88146 -1.28858 0.271
H -1.63832 1.95116 -1.83441 0.274
H 0.55431 -0.05218 -2.32093 0.329
H 1.36720 0.17005 -0.67085 0.057
H -1.01657 -1.76269 -1.30883 0.428
H -0.35670 -0.11493 2.50426 0.212
O 3.07177 -0.44771 1.45959 -0.643
H 2.76417 0.46961 1.61734 0.320
H 3.64979 -0.38910 0.69360 0.307
```

HOMO	-9.9	eV
ΔE to the lowest compared entry with this formula, charge and spin	0.1223	eV
DFT total energy	-530.5728	Ha
strongest force on any atom	1.35	eV/Å
SMILES	N[C@]12C[C@H]1C(=O)NC2=O.O

Entry 3:
Entry from OMol25: a single C5H8N2O8 molecule at a distorted geometry (ωB97M-V with the def2-TZVPD basis set).

The geometry in XYZ format:
```
23
Properties=species:S:1:pos:R:3:mulliken_charge:R:1
C 0.94791 2.38054 0.99123 -1.089
C 0.90840 0.99012 1.65722 0.851
O 1.15226 0.55773 2.74233 -0.460
O 0.41432 0.16562 0.59013 -0.291
C 0.23904 -1.14635 0.80563 -0.281
C -0.48826 -1.87276 -0.35210 0.313
O -1.20486 -2.93626 0.18937 -0.635
C -1.43638 -0.90043 -1.05495 -1.014
O -0.73370 -0.17530 -2.03996 -0.593
N -0.64241 -1.27697 2.02073 1.264
O -1.45729 -0.39032 2.15770 -0.619
O -0.54972 -2.28181 2.65372 -0.606
N 1.57782 -1.76746 1.08669 1.134
O 1.60745 -2.93971 1.28286 -0.601
O 2.51055 -1.01037 1.00926 -0.624
H 0.37028 2.45482 0.03840 0.209
H 0.63616 3.15690 1.82378 0.353
H 2.01190 2.55881 0.91696 0.336
H 0.11437 -2.33010 -1.03008 0.660
H -0.54174 -3.53511 0.64828 0.421
H -2.19163 -1.46634 -1.46232 0.453
H -1.71290 -0.30972 -0.21477 0.479
H -0.57511 0.84480 -1.91249 0.337
```

HOMO	-11.0	eV
ΔE to the lowest compared entry with this formula, charge and spin	0.0000	eV
DFT total energy	-906.5101	Ha
strongest force on any atom	3.48	eV/Å
SMILES	CC(=O)OC([C@@H](O)CO)([N+](=O)[O-])[N+](=O)[O-]

Entry 4:
Entry from OMol25: a single C5H8N2S molecule at a distorted geometry (ωB97M-V with the def2-TZVPD basis set).

The geometry in XYZ format:
```
16
Properties=species:S:1:pos:R:3:mulliken_charge:R:1
S 3.12565 -0.06541 -0.09559 -0.337
C 1.55501 -0.27385 0.10132 -0.255